Secure Tracking Service S-TrackS
Position and timing data in existing asset tracking services are today obtained using open GNSS services like GPS or Galileo OS. These services are however quite vulnerable to spoofing (fraud). It is evident that there would be significant commercial benefits for the ability to provide 100% reliable evidence about the past whereabouts of an asset. Future governmental regulation may also require that service providers are able to reliably report the past wherea-bouts of an asset.
The S-TrackS (Secure Tracking Service) project will provide a solution for applications where the owner, transporter or operator of an asset:
• has commercial interests to be able to provide reliable proof of its past trajectory/route if this can avoid time consuming inspections (e.g. customs)
• requires reliable proof of its position to activate licences or to protect against liability (insurance)
• has an advantage when his positions will be accepted by the authorities as being legally correct (fishery---faster to fish market), so the fisherman can prove that he has been in the dedicated area where he was allowed to fish
== Misplaced quantum chemistry results ==
____________
Record 1
The following is a DFT calculation (ωB97M-V with the def2-TZVPD basis set) of one molecule with the formula C5H11N.

Structure (XYZ):
```
17
C5H11N | the OMol25 dataset | ωB97M-V with the def2-TZVPD basis set
C 2.01768 0.56111 0.11674
N 1.14755 -0.24320 -0.66835
C 0.18134 -0.79805 0.29118
C -1.01890 -1.37780 -0.29420
C -1.08047 -0.03984 0.41600
C -1.55603 1.26164 -0.28777
H 2.44275 0.04182 1.07935
H 1.50911 1.41501 0.43267
H 2.96727 0.79651 -0.50956
H 1.73069 -1.09679 -0.74600
H 0.71619 -1.31665 1.16212
H -1.00556 -1.55780 -1.40668
H -1.41163 -2.16947 0.22575
H -1.62337 -0.14604 1.42070
H -1.17134 2.22779 0.26481
H -2.69338 1.32909 -0.22785
H -1.15189 1.11270 -1.26893
```

## Properties
SMILES: CN[C@@H]1C[C@@H]1C
Gap between HOMO and LUMO in eV: 10.7
Largest force on an atom in hartree/bohr: 0.080
E_tot in hartree: -251.776882
Energy relative to the best compared isomer or geometry (same formula, charge and spin) in eV: 2.3306
M in g/mol: 85.150
Multiplicity: 1
Charge: 0

Mulliken atomic charge list, values in e, 4 entries:
1. C -0.799
2. N -0.456
3. C 0.128
4. C -0.926

Record 2
The following is a DFT calculation (ωB97M-V with the def2-TZVPD basis set) of one molecule with the formula C5H11N.

Structure (XYZ):
```
17
C5H11N | the OMol25 dataset | ωB97M-V with the def2-TZVPD basis set
C -1.47585 -0.81590 0.65576
C -0.63521 0.35391 0.14786
C -1.08467 0.83382 -1.22852
N 0.67796 -0.18015 -0.05683
C 1.95266 0.40381 -0.22154
C 1.68586 -0.71137 0.80552
H -1.44377 -1.64607 -0.06313
H -1.08503 -1.19045 1.61027
H -2.51279 -0.50663 0.79861
H -0.69358 1.19268 0.87390
H -1.07488 -0.00832 -1.93316
H -0.38417 1.58708 -1.60869
H -2.08530 1.26780 -1.18458
H 2.05027 1.49104 0.01973
H 2.50734 0.17667 -1.12984
H 1.68997 -1.81620 0.67016
H 1.91121 -0.43173 1.84448
```

## Properties
SMILES: CC(C)N1CC1
Gap between HOMO and LUMO in eV: 9.8
Largest force on an atom in hartree/bohr: 0.029
E_tot in hartree: -251.791741
Energy relative to the best compared isomer or geometry (same formula, charge and spin) in eV: 1.9263
M in g/mol: 85.150
Multiplicity: 1
Charge: 0

Mulliken atomic charge list, values in e, 4 entries:
1. C -1.408
2. C 0.511
3. C -1.342
4. N -0.030

Record 3
The following is a DFT calculation (ωB97M-V with the def2-TZVPD basis set) of one molecule with the formula C5H11N.

Structure (XYZ):
```
17
C5H11N | the OMol25 dataset | ωB97M-V with the def2-TZVPD basis set
C 0.22530 2.08235 -0.14807
N 0.14208 0.68474 -0.54133
C -1.09593 -0.01254 -0.46495
C -0.92529 -1.22919 0.50651
C 0.57013 -1.52361 0.39423
C 1.21536 -0.24546 -0.17490
H -0.78155 2.51632 0.00393
H 0.78893 2.61850 -0.91066
H 0.63016 2.21492 0.85986
H -1.99624 0.54782 -0.10259
H -1.43643 -0.38104 -1.43762
H -1.59782 -2.03320 0.23271
H -1.05400 -0.88747 1.53742
H 0.57922 -2.19489 -0.49453
H 1.00310 -1.94589 1.29404
H 1.92565 0.22845 0.52557
H 1.80732 -0.43980 -1.07962
```

## Properties
SMILES: CN1CCCC1
Gap between HOMO and LUMO in eV: 9.0
Largest force on an atom in hartree/bohr: 0.053
____________
== End of the quantum chemistry results ==
• is interested to be able to detect spoofing attacks.
Usage of S-TrackS is actually endless, from observation, maritime, aviation and road containers to rental equipment (boats, planes and cars), as well as fisheries and electronic tagging. The concept also can be used for authentication of previously calculated PVT from other GNSS services. A candidate client will then be provided with proof of authenticated data by comparing both positions.
The intended development consist of two main element developments, a front end recorder that records spectrum snapshots (i.e Recorder) and a back end secure server (Server) that will be capable of processing the recorded raw spectrum samples into authenticated Position Velocity and Timing information.
Our recorder will interface (or be integrated in a later stage) with existing tagging devices, using their communication and authentication means, to transmit the recorded samples to the agent. From this agent the samples will be submitted to the S-TrackS server where reliable PVT will be generated based on these samples. Automated comparison of these PVTs to the other localisation information will provide 100% position and timing information on the evidence against suspects.
Off-line authentication of recorded baseband spectrum snapshots based on secure GNSS sig-nals can be the ultimate and reliable proof of the validity of any historic GNSS position or track, and (in the absence of this) provide an authentic position estimate for each baseband snap-shot.